204A, 223 – 12 Avenue SW Telephone: 403-248-2044

Calgary, AB T2R 0L3 1-800-566-9959


The following form is for members to complete and share with their next of kin. CCMS does not require, nor keep these forms for members. Instead your information can be stored by competing the CCMS online registry.


ADDRESS ______

# Misplaced data records
'''
1.
79
Properties=species:S:1:pos:R:3:forces:R:3:mulliken_charge:R:1 method="wB97M-V/def2-TZVPD" energy_ev=-124925.15476 gap_ev="5.191 / 3.299" lumo_ev="-13.46 / -15.34" multiplicity=4 total_charge=+4 de_lowest_kcal_mol=22.50
C -3.809986 -0.860680 0.989893 -0.2006 0.1670 -0.9763 -0.36
C -2.957413 -0.861355 -0.127758 -0.8581 0.5753 0.0314 -0.17
C -3.496337 -0.614459 -1.403920 -0.4205 -0.0217 0.9648 -0.16
C -4.855620 -0.277441 -1.489556 -1.0294 0.3395 -1.1974 -0.64
N -5.635111 -0.203981 -0.409978 4.0108 -1.2282 0.3756 0.11
C -5.156586 -0.518915 0.793409 -1.3306 0.1357 0.9230 -0.44
C -1.532234 -1.025332 0.046823 2.1047 -0.0979 -0.0272 0.43
C -0.574366 -1.935802 0.109731 -0.2922 -0.4431 0.1075 -0.20
C -0.016013 -3.224131 0.103047 -0.5725 0.5682 -0.1106 1.06
C 1.382189 -3.285237 0.275080 0.1893 -0.2662 -0.1358 -0.22
C 2.009622 -4.495277 0.072498 -0.1717 1.4707 0.3293 -1.17
C 1.174583 -5.545654 -0.235500 1.1400 -2.9964 -0.4616 0.11
C -0.210802 -5.548735 -0.332293 -0.5747 0.6295 0.1201 -0.78
C -0.839356 -4.330848 -0.168085 0.2520 -0.2538 -0.1339 -0.59
Re 0.363001 -0.202890 0.387165 -2.5867 -1.5744 -1.7270 0.10
P -0.687933 1.812434 0.549514 -2.1176 4.8265 0.2410 0.41
H -2.875710 -0.680204 -2.298914 -0.4592 0.1524 0.1240 0.59
H -3.432639 -1.112522 1.981860 -0.4181 0.1667 -0.1996 0.55
H -5.295735 -0.052668 -2.463025 -0.0791 -0.0364 0.1427 0.47
H -5.839127 -0.490752 1.644805 -0.0326 -0.0053 -0.1488 0.47
H -1.923958 -4.190740 -0.259520 0.5192 -0.2198 0.0077 0.53
H 1.954442 -2.371299 0.531359 -0.2766 -0.6205 -0.1236 0.47
H -0.773351 -6.451224 -0.534131 0.1914 -0.0318 -0.0285 0.51
H 3.081300 -4.615007 0.148699 -0.0594 -0.1181 -0.0003 0.55
C 0.406947 3.284383 0.868886 0.5745 -0.4674 0.1141 -0.77
C -0.068926 4.688142 0.472979 -0.2455 0.2395 -0.0452 -1.31
H 1.353862 3.058807 0.353326 -0.1381 0.1377 0.2128 0.53
H 0.629087 3.256579 1.946934 0.0434 -0.0689 -0.2266 0.63
H 0.745110 5.399353 0.676327 -0.1957 -0.2733 -0.0733 0.45
H -0.308855 4.769438 -0.595026 0.0717 -0.0247 0.2625 0.28
H -0.934967 5.030700 1.056484 0.2925 -0.1940 -0.2408 0.29
C -1.713848 2.354545 -0.930131 0.3960 -0.8209 -0.4726 -0.10
C -2.975985 3.198469 -0.721635 -0.1900 0.2181 0.1108 -1.66
H -2.001798 1.416518 -1.431960 0.1400 0.3250 -0.0207 0.24
H -1.027764 2.871212 -1.618172 -0.1427 -0.1787 0.2758 0.59
H -3.436738 3.381055 -1.705425 0.2345 -0.0895 0.2608 0.44
H -3.731096 2.680730 -0.113168 0.2342 0.1827 -0.0431 0.31
H -2.773662 4.187694 -0.285252 -0.0500 -0.4494 -0.1400 0.31
C -1.909735 1.875740 1.950397 0.1221 -0.8832 0.2499 -0.09
C -2.299593 3.230608 2.555118 -0.0836 0.3069 -0.0194 -1.37
H -1.467164 1.243517 2.737395 -0.1654 0.1404 -0.0789 0.58
H -2.803608 1.335507 1.604154 0.2680 0.2099 0.0736 -0.07
H -2.989560 3.048959 3.391890 0.2395 -0.0266 -0.2085 0.47
H -1.436173 3.772589 2.960380 -0.2316 -0.1560 -0.1189 0.33
H -2.831988 3.883428 1.850683 0.2752 -0.2646 0.2355 0.26
Br 2.099723 -7.198128 -0.531068 -0.6105 0.6206 0.1003 -0.03
P 1.483310 0.040580 -1.688835 1.3851 0.2121 -2.3732 0.85
'''

FUNERAL HOME to be contacted______

CLERGYMAN or CHURCH to be contacted______

DISPOSAL OF BODY: Circle Your Choice or Fill in the Missing Information

  • I do/do not wish my body to be buried at the following cemetery______

I have/have not purchased a plot at that cemetery

  • I do/do not want to be cremated

I want my ashes to be scattered by my next of kin or executor/interred in a burial plot or columbarium at the following cemetery______

I have/have not purchased a burial plot or columbarium niche at that cemetery

  • I have arranged to have my body donated to medical science at the following institution:______

FUNERAL SERVICE: Circle Your Choice or Fill in the Missing Information

I want/do not want a funeral service to be held.

The location I choose for my service is ______

I prefer that the service be public/private

I want the service to be conducted by ______

TYPE OF FUNERAL:Circle Your Choice or Fill in the Missing Information

  • I want a funeral similar to CCMS Plan ______
  • I do/do not wish my body to be embalmed
  • I do/do not wish the casket to be open
  • I do/do not wish to have an obituary in the newspaper
  • I do/do not want memorial gifts in lieu of flowers
  • I wish memorial gifts to be directed to ______


I have made arrangements with______(enter name of organization) to donate my entire body/the following organs (specify organs)______upon my death.


Signature Date


At the time of death of a member, it is a legal requirement that a Registration of Death Form be completed and submitted to the Province of Alberta. The funeral home will do this, using information provided by the next of kin or executor. Since this information is not always readily available to your next of kin, we recommend that you record it here to the best of your ability.

Family Name:______First and Middle Name(s):______

Full Address: ______

Sex: ______Marital Status:______

Your Primary Occupation During Working Career:______

If Married, Widowed or Divorced, give full name of husband or

full maiden name of wife: ______

Your Birthdate: Year______Month______Day______

Your Birthplace: City______Province______Country______

Father’s Full Name:______

Father’s Birthdate: Year______Month______Day______

Father’s Birthplace: City______Province______Country______

Mother’s Full Name (including Maiden Name):______

Mother’s Birthplace: City______Province______Country______

Mother’s Birthdate: Year______Month______Day______

Your Next of Kin: Name______Address______


Signature Date

HINT: If you want to have an obituary published in the newspaper, or an information sheet to be distributed at a memorial service, it’s a good idea to make a separate list of the names of your family members who predeceased you and any other information you would like to see included. You may even wish to prepare it yourself in advance!

Please ensure your next of kin have this information